Thursday, 14 March 2019

Calculated crystals that have nothing to do with the text
********
Below is a relaxed structure of Rb2Nb3C3S3N3Cl6O2, with properties calculated at the PBE level.

a = 9.1106 Å, b = 12.1257 Å, c = 12.1385 Å
α = 115.40°, β = 99.22°, γ = 101.43°
Sites, in units of the cell vectors:
Cl 0.2285 0.8087 0.5182
Cl 0.6396 0.8644 0.2795
Cl 0.0232 0.1149 0.8176
Cl 0.6640 0.9811 0.5988
Cl 0.3604 0.1356 0.7205
Cl 0.8956 0.7890 0.6152
Cl 0.9768 0.8851 0.1824
Cl 0.1309 0.3256 0.7014
Cl 0.8691 0.6744 0.2986
Cl 0.3360 0.0189 0.4012
Cl 0.7715 0.1913 0.4818
Cl 0.1044 0.2110 0.3848
S 0.6834 0.1037 0.9931
S 0.7291 0.4520 0.9536
S 0.6606 0.5013 0.6227
S 0.2709 0.5480 0.0464
S 0.3394 0.4987 0.3773
S 0.3166 0.8963 0.0069
Rb 0.5188 0.7681 0.7365
Rb 0.9933 0.3764 0.1477
Rb 0.4812 0.2319 0.2635
Rb 0.0067 0.6236 0.8523
N 0.1805 0.7307 0.2360
N 0.8195 0.2693 0.7640
N 0.2208 0.9341 0.7981
N 0.4095 0.3030 0.5874
N 0.5905 0.6970 0.4126
N 0.7792 0.0659 0.2019
O 0.1634 0.5885 0.6503
O 0.1553 0.1796 0.1146
O 0.8447 0.8204 0.8854
O 0.8366 0.4115 0.3497
Nb 0.1124 0.9676 0.6492
Nb 0.7941 0.8476 0.4544
Nb 0.8876 0.0324 0.3508
Nb 0.9103 0.1354 0.6325
Nb 0.2059 0.1524 0.5456
Nb 0.0897 0.8646 0.3675
C 0.4833 0.6109 0.3946
C 0.5167 0.3891 0.6054
C 0.2598 0.9198 0.8887
C 0.7797 0.3465 0.8446
C 0.2203 0.6535 0.1554
C 0.7402 0.0802 0.1113

Values from the calculation:
Final energy: -5.87 eV per atom
Space group: No. 2
Density: 2.5 g/cm³
ΔH_f (0 K): -0.621 eV/atom
M_tot: 6.0 μB per cell

~~~~~

1.
50
Lattice="-6.0403 -5.7636 1.2268 3.6600 0.7475 7.5781 -4.5620 8.7901 -2.0673" Properties=species:S:1:pos:R:3 comment="Na5Ni2P2C2O14 PBE with a Hubbard U optimized geometry" vol_a3_per_cell=611.0 dft_energy_ev_per_atom=-6.24 ef_ev_per_atom=-2.157 sg="P-1 (2)" relative_energy_mev_per_atom=4.2 crystal_system=triclinic pbc="T T T"
Na -4.5791 3.9002 2.7914
O -5.6201 -0.0857 5.2273
Na -1.9798 5.6691 4.3515
Na -1.1990 2.2611 -0.3921
C -3.0210 -3.4433 4.6815
C -1.8413 -0.9494 0.2998
Ni -3.3964 3.1196 5.4928
O -4.9258 -0.5744 0.2304
O -0.0758 2.7400 3.4177
O -5.0376 2.2678 4.4987
Na 0.0149 1.3784 5.4290
O 1.4931 0.8861 7.2514
O -1.3222 3.8597 1.5103
O -2.4645 -1.1514 1.4306
O -2.0164 4.3483 6.5073
O -3.8873 4.7955 0.1187
O -1.9070 7.7392 5.3741
O -6.7111 4.5415 2.1471
O -0.2312 -0.7675 4.5906
P -4.2923 3.3842 -0.3978
C -3.9212 7.2173 2.0561
Na -5.7432 1.5129 7.1297
Na -6.1409 5.6523 0.1171
Ni -3.5458 0.6544 1.2449
O -3.6126 6.1218 2.7031
O -5.0352 -3.9652 1.3635
O -4.4777 4.9254 5.3070
Na -2.3632 -0.1262 3.9462
O -3.0549 -1.0215 6.6189
P -2.6500 0.3898 7.1354
O 0.4072 3.5437 6.2108
O -4.4492 0.2680 3.0252
C -5.1009 4.7233 6.4378
O -2.4849 1.3540 5.9205
O -2.4930 3.5060 3.7125
O -3.3166 7.3923 0.9281
O -7.3494 0.2303 0.5268
P -1.4556 2.8927 2.7414
Na -0.8014 -1.8783 6.6206
O -3.6257 -3.6183 5.8096
O -1.9047 1.5061 2.2390
Ni -4.7170 -1.8390 5.6388
Na -6.9572 2.3956 1.3086
O -4.4574 2.4200 0.8171
P -5.4867 0.8813 3.9962
O -3.3297 -2.3478 4.0345
O -8.4354 2.8879 -0.5138
Ni -2.2252 5.6130 1.0988
O -6.8664 1.0340 3.3199
Na -4.9625 -1.8951 2.3861


2.
50
********

Thursday, March 14th

Attached: crystal structures:
┌──
Entry 1:
A geometry-optimized Sr3Zn structure, computed with PBE.

a = 5.4799 Å, b = 5.4799 Å, c = 5.4799 Å
α = 90.00°, β = 90.00°, γ = 90.00°
Atoms (fractional coordinates):
Sr (0.0000, 0.0000, 0.5000)
Sr (0.0000, 0.5000, 0.0000)
Sr (0.5000, 0.0000, 0.0000)
Zn (0.5000, 0.5000, 0.5000)

Properties
ΔH_f (0 K): 0.33 eV per formula unit
uncorrected energy: -1.50 eV per atom
space group: Pm-3m, No. 221

***

Entry 2:
A geometry-optimized Sr4Zn11 structure, computed with PBE.

a = 11.9732 Å, b = 11.9732 Å, c = 11.9732 Å
α = 136.02°, β = 136.02°, γ = 63.95°
Atoms (fractional coordinates):
Sr (0.1675, 0.1972, 0.5297)
Sr (0.1675, 0.6378, 0.9703)
Sr (0.1972, 0.1675, 0.0297)
Sr (0.3622, 0.8325, 0.5297)
Sr (0.6378, 0.1675, 0.4703)
Sr (0.8028, 0.8325, 0.9703)
Sr (0.8325, 0.3622, 0.0297)
Sr (0.8325, 0.8028, 0.4703)
Zn (0.0000, 0.5000, 0.5000)
Zn (0.1741, 0.3335, 0.3759)
Zn (0.1741, 0.7983, 0.8406)
Zn (0.2017, 0.5423, 0.3759)
Zn (0.2017, 0.8259, 0.6594)
Zn (0.3335, 0.1741, 0.8759)
Zn (0.3335, 0.4577, 0.1594)
Zn (0.3750, 0.6250, 0.7500)
Zn (0.4577, 0.3335, 0.6594)
Zn (0.4577, 0.7983, 0.1241)
Zn (0.5000, 0.0000, 0.0000)
Zn (0.5000, 0.5000, 0.0000)
Zn (0.5000, 0.5000, 0.5000)
Zn (0.5423, 0.2017, 0.8759)
Zn (0.5423, 0.6665, 0.3406)
Zn (0.6250, 0.3750, 0.2500)
Zn (0.6665, 0.5423, 0.8406)
Zn (0.6665, 0.8259, 0.1241)
Zn (0.7983, 0.1741, 0.3406)
Zn (0.7983, 0.4577, 0.6241)
Zn (0.8259, 0.2017, 0.1594)
Zn (0.8259, 0.6665, 0.6241)

Properties
ΔH_f (0 K): 0.50 eV per formula unit
uncorrected energy: -1.34 eV per atom
space group: I4_1/amd, No. 141

***

Entry 3:
A geometry-optimized SrZn2 structure, computed with PBE.

a = 5.9367 Å, b = 5.9367 Å, c = 9.0709 Å
α = 90.00°, β = 90.00°, γ = 120.00°
Atoms (fractional coordinates):
Sr (0.3333, 0.6667, 0.0530)
Sr (0.3333, 0.6667, 0.4470)
Sr (0.6667, 0.3333, 0.5530)
Sr (0.6667, 0.3333, 0.9470)
Zn (0.0000, 0.0000, 0.0000)
Zn (0.0000, 0.0000, 0.5000)
Zn (0.1570, 0.3141, 0.7500)
Zn (0.1570, 0.8430, 0.7500)
Zn (0.3141, 0.1570, 0.2500)
Zn (0.6859, 0.8430, 0.7500)
Zn (0.8430, 0.1570, 0.2500)
Zn (0.8430, 0.6859, 0.2500)

Properties
ΔH_f (0 K): -0.57 eV per formula unit
uncorrected energy: -1.59 eV per atom
space group: P6_3/mmc, No. 194

***

Copy entry 1 word for word.
A geometry-optimized Sr3Zn structure, computed with PBE.

a = 5.4799 Å, b = 5.4799 Å, c = 5.4799 Å
α = 90.00°, β = 90.00°, γ = 90.00°
Atoms (fractional coordinates):
Sr (0.0000, 0.0000, 0.5000)
Sr (0.0000, 0.5000, 0.0000)
Sr (0.5000, 0.0000, 0.0000)
Zn (0.5000, 0.5000, 0.5000)

Properties
ΔH_f (0 K): 0.33 eV per formula unit
uncorrected energy: -1.50 eV per atom
space group: Pm-3m, No. 221

----------

# SmZnRh

A relaxed SmZnRh crystal (meta-GGA r2SCAN, the Materials Project database).

Calculated values
Magnetization ... 0.00 μB/f.u.
Energy ... -21.651 eV/atom
Calculated formation energy ... -0.725 eV/atom
Volume ... 19.342 Å³ per atom

a b c (Å): 4.0560 7.0167 8.1554
angles (deg): 90.00 90.00 90.00
Atoms (fractional coordinates):
Rh 0.2500 0.2583 0.3785
└──

A nicer day in the valley with a promise of much better days ahead.  No clouds, no wind, no rain; maybe this is the Arizona we signed up for.
  We went to koffee klatch this morning, with double good news; free donuts an dour table was picked first.  This is something I could get accustomed to, a great way to start the day.
  After coffee we had to basically take the entire room apart and set he tables up for the Ladies tea.  It was an open square with two rows on the side.  They had 61 ladies signed up for it,  The set up was changed this year to accommodate the salad bar idea.  The tables all had table cloths and decorations on them.  Everyone brings their own tea cup, tea bags and milk if they want it.  Then the organizing committee ladies made the salads up in some large bowls, most were pretty much complete in a bag with the dressing to be added.  The Caesar salad Marg made up was the exception, where she washed and cleaned the Romaine lettuce, made her own dressing and even rubbed the bowl with garlic cloves.  You know it was great and the proof was that there was not left when the hungry hordes were through. 
  When we finished setting the room up we went back to our place to change and bring everything Marg wanted.  This included her teapot that looks a little like the one from Alice in Wonderland and some china cups for decoration and of course the salad fixin's.  That's how they say it here.  I loaded up the 7 1/2 gallons of water and away to the clubhouse, where I got it on to boil.  The other guys showed up and we got carafe's washed to use for hot water.  We pretty much used all the water, and had a large pot of tap water boiling on backup, but it wasn't required.  Some of those gals must have been pretty full of tea.
  Once the ladies were seated, we started serving the hot water and I took some pictures.  At the outset the pastor's grandchildren sang a few songs.  They are pretty good considering they 11, 13 and 15, cute kids.  This was followed by the food and the day was interspersed with gift draws awarded to the lucky ladies drawn.  Then the four of us guys handed out hot water and later ice cream or sherbet in what I would call dixie cups.  The only mis-queue was the fellow opening the ice cream got into the ones for the St Patrick's day meal, so we had way to many opened.  The good news is we all had lots.  By then it was clean up and I washed a ton of dishes while Kenny dried them.  Then when the ladies disbursed we had to put the room back to the usual order to be available for the breakfast Saturday morning.  Moved a lot of tables and chairs today.
  By then we were pretty tired and  went back to our place.  As luck would have it Marg had lots of visitors after and she gave them each a cocktail while they hashed out whatever it was they came to talk about.  I sat at the computer posting the pictures of the tea on the tenants assoc. FB page.  We went for an early supper as we were both pretty hungry.  The salads were pretty picked over by the time either of us got to eat.  Supper tonight was IHop and we both chose well and were happy and full at the end.  After we got back home [yes I guess it's one of our homes], we went to the animal races.  We both won 4 of the 8 races.  I did OK, but after losing the first three races, Marg went from one dime to 3 and then really started cashing in.  It was a large crowd and they were rowdy tonight, so a fun night.

1 comment:

### Inserted here: data records
********
Computed, not measured: a relaxed K3NdV2O8 crystal at the GGA+U level of DFT.

Computed properties:
Electronic total energy in eV per atom: -6.77
ΔE_f in meV/atom: -2705
Total moment in μB per formula unit: 0.00

a b c (Å): 6.0699 7.6859 10.0491
angles (deg): 89.02 90.00 90.00
Sites, in units of the cell vectors:
O: 0.2500 0.0390 0.4075
O: 0.2500 0.3293 0.5781
O: 0.9863 0.2586 0.8337
O: 0.7500 0.6707 0.4219
O: 0.4869 0.3405 0.3314
O: 0.7500 0.2060 0.0806
O: 0.0131 0.3405 0.3314
O: 0.2500 0.7940 0.9194
O: 0.5137 0.2586 0.8337
O: 0.9869 0.6595 0.6686
O: 0.0137 0.7414 0.1663
O: 0.2500 0.4724 0.0349
O: 0.4863 0.7414 0.1663
O: 0.7500 0.9610 0.5925
O: 0.7500 0.5276 0.9651
O: 0.5131 0.6595 0.6686
Nd: 0.2500 0.4937 0.7886
Nd: 0.7500 0.5063 0.2114
K: 0.2500 0.9984 0.6927
K: 0.7500 0.3076 0.5819
K: 0.7500 0.8590 0.9162
K: 0.7500 0.0016 0.3073
K: 0.2500 0.6924 0.4181
K: 0.2500 0.1410 0.0838
V: 0.2500 0.6900 0.0748
V: 0.2500 0.2610 0.4127
V: 0.7500 0.3100 0.9252
V: 0.7500 0.7390 0.5873

***

Computed, not measured: a relaxed MgV4O7F5 crystal at the GGA+U level of DFT.

Computed properties:
Electronic total energy in eV per atom: -6.71
ΔE_f in meV/atom: -2694
ΔE to the lowest computed polymorph in kJ/mol of atoms: 2.8
Total moment in μB per formula unit: 3.00

a b c (Å): 5.2250 5.4352 8.9243
angles (deg): 76.21 89.98 59.50
Sites, in units of the cell vectors:
V: 0.2579 0.5118 0.7562
V: 0.4511 0.0064 0.5252
V: 0.0410 0.9945 0.9967
V: 0.7379 0.5088 0.2485
O: 0.4480 0.7342 0.6678
O: 0.9506 0.2365 0.1404
O: 0.0833 0.2193 0.4280
O: 0.4619 0.2370 0.6238
O: 0.5109 0.7315 0.3683
O: 0.4092 0.7581 0.0725
O: 0.0465 0.7532 0.8598
F: 0.0750 0.2598 0.8237
F: 0.5930 0.2328 0.9234
F: 0.9436 0.7421 0.1898
F: 0.9426 0.7441 0.5539
F: 0.6004 0.2042 0.3343
Mg: 0.0598 0.8884 0.3518


1.
# Li4MnNi3O8 | Materials Project | PBE+U | optimized geometry
data_Li4MnNi3O8
_space_group_name_H-M_alt 'P 1'
_space_group_IT_number 1
_cell_length_a 5.857
_cell_length_b 5.857
_cell_length_c 5.857
_cell_angle_alpha 59.79
_cell_angle_beta 59.79
_cell_angle_gamma 59.79
loop_
_space_group_symop_operation_xyz
'x,y,z'
loop_
_atom_site_label
_atom_site_type_symbol
_atom_site_fract_x
_atom_site_fract_y
_atom_site_fract_z
Li1 Li 0.500 0.500 0.000
Li2 Li 0.500 0.000 0.500
Li3 Li 0.000 0.000 0.000
Li4 Li 0.000 0.500 0.500
O1 O 0.261 0.735 0.735
O2 O 0.237 0.237 0.237
O3 O 0.265 0.739 0.265
O4 O 0.735 0.261 0.735
O5 O 0.739 0.265 0.265
O6 O 0.735 0.735 0.261
O7 O 0.265 0.265 0.739
O8 O 0.763 0.763 0.763
Ni1 Ni 0.500 0.000 0.000
Ni2 Ni 0.000 0.000 0.500
Ni3 Ni 0.000 0.500 0.000
Mn1 Mn 0.500 0.500 0.500
# **Calculated total energy**: -86.3 eV for the cell shown
# **SG**: R-3m, No. 166

=====

2.
# Li3MnPCO7 | Materials Project | PBE+U | optimized geometry
data_Li3MnPCO7
_space_group_name_H-M_alt 'P 1'
_space_group_IT_number 1
_cell_length_a 5.077
_cell_length_b 6.802
_cell_length_c 8.793
_cell_angle_alpha 95.28
_cell_angle_beta 92.39
_cell_angle_gamma 95.29
loop_
_space_group_symop_operation_xyz
'x,y,z'
loop_
********

  1. Looks like another great saucy.... x
